### Brief
Find "(0.576, 0.281," and "(0.924, 0.719," in the rows below, and repeat these two lines and those between.

### Entries
=====
Entry 1:
For CdSnSO, a cell relaxed with GGA-PBE gives the computed powder X-ray diffraction pattern in this record (Cu Kα (λ = 1.5418 Å)).

Lattice parameters (Å, degrees): 7.260 7.300 12.027 90.00 90.00 90.00
Sites, in units of the cell vectors:
Cd (0.031, 0.241, 0.024)
Cd (0.031, 0.259, 0.524)
Cd (0.469, 0.741, 0.024)
Cd (0.469, 0.759, 0.524)
Cd (0.531, 0.241, 0.476)
Cd (0.531, 0.259, 0.976)
Cd (0.969, 0.741, 0.476)
Cd (0.969, 0.759, 0.976)
Sn (0.148, 0.616, 0.720)
Sn (0.148, 0.884, 0.220)
Sn (0.352, 0.116, 0.720)
Sn (0.352, 0.384, 0.220)
Sn (0.648, 0.616, 0.780)
Sn (0.648, 0.884, 0.280)
Sn (0.852, 0.116, 0.780)
Sn (0.852, 0.384, 0.280)
S (0.232, 0.528, 0.932)
S (0.232, 0.972, 0.432)
S (0.268, 0.028, 0.932)
S (0.268, 0.472, 0.432)
S (0.732, 0.528, 0.568)
S (0.732, 0.972, 0.068)
S (0.768, 0.028, 0.568)
S (0.768, 0.472, 0.068)
O (0.076, 0.219, 0.212)
O (0.076, 0.281, 0.712)
O (0.424, 0.719, 0.212)
O (0.424, 0.781, 0.712)
O (0.576, 0.219, 0.288)
O (0.576, 0.281, 0.788)
O (0.924, 0.719, 0.288)
O (0.924, 0.781, 0.788)

Main lines, in order of rising 2θ (10 to 90 degrees two-theta):
- hkl 0 2 1, 2θ = 25.5°, I = 100
- hkl 2 1 1, 2θ = 28.4°, I = 96
- hkl 0 2 2, 2θ = 28.6°, I = 42
- hkl 2 0 2, 2θ = 28.7°, I = 60
- hkl 0 0 4, 2θ = 29.7°, I = 93
- hkl 2 1 2, 2θ = 31.3°, I = 100
- hkl 1 1 4, 2θ = 34.5°, I = 51
- hkl 2 2 0, 2θ = 34.9°, I = 75
- hkl 2 1 3, 2θ = 35.5°, I = 49
- hkl 2 2 2, 2θ = 38.0°, I = 64
- hkl 1 0 6, 2θ = 47.0°, I = 43
- hkl 0 4 2, 2θ = 52.4°, I = 53

Entry 2:
For CdSnSO, a cell relaxed with GGA-PBE gives the computed powder X-ray diffraction pattern in this record (Cu Kα (λ = 1.5418 Å)).

Lattice parameters (Å, degrees): 3.680 15.480 6.010 90.00 90.00 90.00
Sites, in units of the cell vectors:
Cd (0.000, 0.180, 0.000)
Cd (0.000, 0.820, 0.500)
Cd (0.500, 0.320, 0.500)
Cd (0.500, 0.680, 0.000)
Sn (0.000, 0.430, 0.062)
Sn (0.000, 0.570, 0.562)
Sn (0.500, 0.070, 0.562)
Sn (0.500, 0.930, 0.062)
S (0.000, 0.184, 0.431)
S (0.000, 0.816, 0.931)
S (0.500, 0.316, 0.931)
S (0.500, 0.684, 0.431)
O (0.000, 0.386, 0.384)
=====

### Result
O (0.576, 0.281, 0.788)
O (0.924, 0.719, 0.288)